Writing Leaders (L-R): Christian Pimentel, Gaby Anderson, Katerina Guerrero, and Francine Tshimbalanga

Directors’ Note 

Dear Families and Friends of Rising Loaves, 

Over the past three weeks (July 10 - 28, 2023) our students explored the theme of “Leaving a Legacy” and experienced the importance of preserving our great city’s history in the Lawrence History Center archives. The writing in the 2023 Rising Loaves Anthology, a treasure of thoughts and ideas, represents only a small sample of all the writing and art our students created together this summer. Students filled their personal notebooks with poetry, short stories, drawings, and ideas that they will take with them forever. 

“Leaving Our Legacy” was a thought-provoking theme as we encouraged our students to think about their own legacy. We challenged them to think about how they could make a difference for future generations through their actions and words. Guest artists and writers such as Harlym 125, T-Melon, Nathan Baez, Nurylis Cintron, jayvie song, and Edwin Santana inspired our students to value and express their thoughts; during activity time, volunteer and teacher Sheila Barry taught some students to crochet while others put their passion towards playing volleyball. All students toured the Lawrence History Center and learned about the early planning of Lawrence by the Essex Company and viewed hidden vaults and archival documents with Kathy Flynn and Amita Kiley. Al Brandano of The Voice Library spoke to us about the importance of storytelling and recording the voices of our loved ones. 

<<<
Entry 1:
Starting from DFT lattice parameters and positions (GGA-PBE), the X-ray powder pattern of TbTmNpO6 was calculated for Cu Kα (λ = 1.5418 Å).
Lines closer than 0.1° are merged.

Lattice parameters (Å, degrees): 5.6857 5.6857 9.4994 90.00 90.00 120.00
Space group P-31c (No. 163)
Symmetry-distinct sites (fractional):
Tb 0.0000 0.0000 0.0000 x2
Tm 0.3333 0.6667 0.2500 x2
Np 0.3333 0.6667 0.7500 x2
O 0.0208 0.3566 0.6347 x12

Largest 10 diffraction maxima, by angle, 2θ from 10° to 80°:
2theta	d/Å	I_rel	(hkl)
18.7	4.750	18	0 0 2
26.1	3.418	100	1 0 2
31.5	2.843	62	1 1 0
36.8	2.439	20	1 1 2
41.3	2.186	30	2 0 2
50.0	1.823	48	1 1 4
52.8	1.733	29	2 1 2
56.0	1.641	19	3 0 0
69.6	1.350	13	3 0 4
78.4	1.220	13	4 -2 4

---

Entry 2:
Starting from DFT lattice parameters and positions (GGA-PBE), the X-ray powder pattern of UTlTe3 was calculated for Cu Kα (λ = 1.5418 Å).
Lines closer than 0.1° are merged.

Lattice parameters (Å, degrees): 7.7976 7.7976 21.9511 90.00 90.00 120.00
Space group R32 (No. 155, hexagonal axes)
Symmetry-distinct sites (fractional):
U 0.0000 0.0000 0.1654 x6
Tl 0.0000 0.0000 0.3771 x6
Te 0.0006 0.4981 0.4103 x18

Largest 10 diffraction maxima, by angle, 2θ from 10° to 80°:
2theta	d/Å	I_rel	(hkl)
15.4	5.751	44	0 1 2
20.9	4.259	49	1 0 4
22.8	3.899	63	1 1 0
26.7	3.337	57	0 2 1
31.1	2.876	100	0 2 4
33.5	2.676	99	2 0 5
33.6	2.668	58	1 1 6
43.8	2.068	30	1 1 9
46.6	1.949	68	2 2 0
47.5	1.916	34	0 1 11

---

Entry 3:
Starting from DFT lattice parameters and positions (GGA-PBE), the X-ray powder pattern of Li6CuAu was calculated for Cu Kα (λ = 1.5418 Å).
Lines closer than 0.1° are merged.

Lattice parameters (Å, degrees): 5.6708 5.6708 4.5088 90.00 90.00 120.00
Space group P-6m2 (No. 187)
Symmetry-distinct sites (fractional):
Li 0.0149 0.5075 0.0000 x3
Li 0.3190 0.1595 0.5000 x3
Cu 0.0000 0.0000 0.0000 x1
Au 0.3333 0.6667 0.5000 x1

Largest 10 diffraction maxima, by angle, 2θ from 10° to 80°:
2theta	d/Å	I_rel	(hkl)
18.1	4.911	69	1 0 0
26.8	3.321	100	1 0 1
31.6	2.835	41	1 1 0
36.6	2.456	15	2 0 0
37.5	2.400	13	1 1 1
41.9	2.156	41	2 0 1
44.2	2.049	15	1 0 2
51.8	1.765	21	1 1 2
53.4	1.716	31	2 1 1
72.5	1.304	12	3 1 1


# Nb4Sb2H
Theoretical X-ray diffraction stick pattern, CuKα. Input: a structure optimized by DFT (PBE).
Neutral-atom scattering factors, no anomalous dispersion.

The 8 most intense peaks (15° ≤ 2θ ≤ 90°), low angle first:
hkl 1 1 0, 29.9 deg, 2.990 Å, I = 211; hkl 1 1 2, 32.6 deg, 2.748 Å, I = 558; hkl 0 0 6, 38.7 deg, 2.324 Å, I = 241; hkl 1 1 4, 39.7 deg, 2.269 Å, I = 1000; hkl 2 0 0, 42.8 deg, 2.114 Å, I = 517; hkl 2 0 6, 59.1 deg, 1.564 Å, I = 272; hkl 1 1 10, 75.2 deg, 1.264 Å, I = 185; hkl 3 1 4, 76.3 deg, 1.248 Å, I = 283

Cell and atoms:
```
data_Nb4Sb2H
_chemical_formula_sum 'Nb8 Sb4 H2'
_space_group_name_H-M_alt 'I 4/m m m'
_space_group_IT_number 139
_space_group_name_Hall '-I 4 2'
_cell_length_a 4.228
_cell_length_b 4.228
_cell_length_c 13.945
_cell_angle_alpha 90.00
_cell_angle_beta 90.00
_cell_angle_gamma 90.00
loop_
>>>

We visited the new exhibit, Somos Latinos: Our Journey to Lawrence and Beyond, at the Lawrence Heritage State Park with its community content team director Sara Morin. In week two, UMass Lowell History Professor Robert Forrant taught us about the tragedy of the fall of Pemberton Mill in 1860 through the eyes of “The Ghost of Pemberton.” Students then walked over to the site of the collapse and discussed who gets remembered and why? 

We took a field trip to the Addison Gallery of American Art at Phillips Academy to view the current exhibition of the work of Alison Elizabeth Taylor, The Sum of It. Inspired by the art they had seen, students created art using the technique of marquetry with Christine Jee, the Addison’s Manager of School & Community Collaborations, the following day. 

In week three, we held an Amazing Race! Students divided into teams and solved crosswords, followed maps, located historic buildings in downtown Lawrence, ate tostones at El Taller, and returned to home base to solve another puzzle that earned them a special treat -- ice cream! 

Special thanks to our brilliant youth writing leaders -- Gabrielle Anderson, Katerina Guerrero, Christian Pimentel, and Francine Tshimbalanga – who led writing prompts and small group activities with our students with great talent and enthusiasm. 

The final reading and the exhibition of student work on the last day was a day of celebration. There were fond farewells and promises to keep in touch. Our students were sad that the three weeks had flown by so quickly. 

Until next year, 

Lee Krishnan Mary Guerrero Susan Grabski Click to view: